

Studies on Selecting and Breeding Excellent Bacterial Strains of Fruit Vinegar Brewage and the Making of Fruit Vinegar Beverages

【作者】 侯爱香

【导师】 周传云;

【作者基本信息】 湖南农业大学 , 农产品加工及贮藏工程, 2007, 硕士

【摘要】 果醋是以水果或果品加工的下脚料为主要原料,经酒精发酵、醋酸发酵酿制而成的一种营养丰富,风味优良,保健作用突出的新一代酸性调味品或饮料。我国果醋历史悠久,几乎与果酒是同时代的产物,早在夏朝就开始有记载。随着人们生活水平的不断提高,果醋的保健功能也越来越受到人们的重视,国内正掀起喝果醋的热潮。有关果醋菌种、果醋工艺和果醋调配的研究也越来越受到研究者的青睐。本文主要包括四各方面的内容:(1)尝试以自然发酵果醋醪和果醋液为菌源,以AS1.41~*为对照菌株。通过初筛和复筛,筛选出G-6、G-7、Y-20三株较优的醋酸菌菌株。其产酸量均大于对照菌株的34.74g/L为:35.32g/L、35.55g/L、34.97g/L,且传代5次后性能稳定,醋酸分解速度小。产酯量分别达:0.872g/L、0.826g/L、0.847g/L。其最适发酵温度在32℃,耐酒精性、耐盐性能良好。并对三株菌进行初步鉴定,G-6属于醋化醋杆菌属,G-7为恶臭醋杆菌属,Y-20为液化醋杆菌属。(2)以从自然发酵的果醋醪中筛选出的产酸量和产酯量分别为:35.55g/L和0.826g/L的优良菌种G-7,作为出发菌株,采用紫外诱变、亚硝酸诱变以及紫外和亚硝酸诱变相结合的复合诱变,得出优良诱变菌株GUC-7,使产酸和产酯能力提高到42.36g/L和0.912g/L。(3)采用从自然发酵的果醋醪中选育出的优良菌株GUC-7进行果醋发酵,对果醋液态发酵和固态发酵工艺进行了比较,同时对固态发酵条件进行了优化设计,得出果醋固态发酵的最优条件组合,即酒精浓度在7%,接种量在10%,起始pH值为4.5的条件下进行果醋固态发酵,其成品的醋酸含量和酯含量分别是63.48g/L和0.998g/L。(4)直接发酵,不经调配稀释的果醋液,醋酸含量高,醋酸的刺激气味浓,果香味在酿造过程中有损失,不宜直接饮用。所以,选择合适的果醋饮料调配原料,对醋液进行调配,通过正交试验,确定最佳的调配配方即即苹果醋10mL/100mL,苹果汁8mL/100mL,蜂蜜4g/100mL,甜菊糖苷0.05g/100mL。

**Data records, as found in the file:**
********
8
Properties=species:S:1:pos:R:3:forces:R:3 method="wB97M-V/def2-TZVPD" energy_ev=-8061.5998 gap_ev=8.4 de_lowest_kj_mol=437.28
C -0.893187 -0.373717 -0.227210 0.8 0.4 0.7
N -1.606652 0.445311 -0.803547 -1.0 -2.3 0.2
N 0.510390 1.942414 0.203593 1.1 -0.7 0.4
N 1.008538 0.910393 0.329937 -0.4 0.9 -0.2
C 1.133092 -0.378849 0.396239 0.6 0.2 0.2
N -0.103855 -1.083660 0.406180 -0.2 0.0 -0.1
H -2.126804 -0.585832 -0.782930 -1.0 1.4 -1.1
H 2.078475 -0.876060 0.477736 0.1 0.1 0.0

=====

21
Properties=species:S:1:pos:R:3:forces:R:3 method="wB97M-V/def2-TZVPD" energy_ev=-12432.4174 gap_ev=8.8 de_lowest_kj_mol=254.16 smiles=NCN.O.O.O.O
N 0.828344 -1.144726 0.360758 -2.1 1.2 0.3
C 0.163120 0.269956 0.548645 -0.6 -1.0 -0.9
N -0.648290 1.016650 -0.524862 0.6 -1.6 2.3
H 0.157393 -1.936597 0.421408 0.9 1.3 -0.1
H 1.766255 -1.428902 0.141723 0.0 0.7 -0.3
H -0.576084 -0.003593 1.272689 -0.3 0.2 0.6
H 0.835583 1.068996 0.985138 -0.4 -1.3 -0.6
H 0.014107 1.397710 -1.123672 0.8 0.9 -1.7
H -1.457939 0.602171 -1.005549 1.0 -0.3 0.6
H 3.773434 -0.066686 -3.286241 -0.8 -0.3 -0.3
H 3.054162 0.313000 -2.068428 -0.8 -0.6 -0.7
O 2.861724 -0.126024 -2.932597 1.5 1.0 1.0
H 1.509691 2.664509 -2.613057 -0.2 1.3 0.0
H 1.455359 4.329260 -2.434019 -1.0 -2.9 -0.4
O 0.929261 3.459885 -2.599572 1.3 1.5 0.4
H -1.528592 -1.491309 4.606336 0.6 -1.2 -0.5
H -0.949203 -2.889351 3.933259 0.2 0.6 0.6
O -1.619012 -2.200382 3.935661 -0.9 0.7 -0.1
H -3.406310 -1.408535 1.645566 0.2 0.8 -3.2
H -3.939887 -1.340931 0.065025 0.2 -0.1 0.9
O -3.223108 -1.085109 0.671779 -0.3 -0.7 2.3

=====

19
Properties=species:S:1:pos:R:3:forces:R:3 method="wB97M-V/def2-TZVPD" energy_ev=-8358.6784 gap_ev=10.1 de_lowest_kj_mol=140.66 smiles="C=CCCNCN"
C -0.295455 0.260467 -0.858917 0.2 -0.1 0.3
C 0.100970 -1.202088 -1.065697 -0.7 -0.5 0.7
C 1.202495 -1.596750 -0.122606 0.8 0.5 -0.4
C 2.329877 -2.204886 -0.479511 -0.4 0.4 0.0
N -1.376650 0.392005 0.124635 0.3 0.3 0.4
C -1.475207 1.740109 0.654971 -0.8 -0.6 -0.1
N -0.291752 2.173020 1.398976 0.1 0.2 0.1
H 0.614413 0.784372 -0.537480 -0.2 0.2 -0.1
H -0.678706 0.736935 -1.759779 0.2 -0.1 -0.2
H 0.343275 -1.462597 -2.089770 0.2 0.2 -0.2
H -0.775923 -1.803737 -0.813075 -0.2 -0.1 -0.1
H 1.165731 -1.165828 0.877355 -0.2 -0.2 0.0
H 3.166569 -2.267555 0.197674 0.0 -0.3 0.1
H 2.474442 -2.538627 -1.496529 0.1 -0.1 -0.1
H -1.271404 -0.232640 0.918461 0.2 -0.2 -0.2
H -1.677559 2.383625 -0.206466 0.3 0.3 0.2
H -2.376399 1.744846 1.284734 0.0 0.1 -0.1
H -0.007546 1.432436 2.033543 0.0 -0.1 -0.1
H -0.546835 2.947420 2.005225 0.1 0.1 -0.2

=====

Number 1: HOMO -8.051 eV, LUMO level 0.38 eV, largest force on an atom 0.0499 Eh/bohr. Number 2: HOMO -8.328 eV, LUMO level 0.50 eV, largest force on an atom 0.0646 Eh/bohr. Number 3: HOMO -8.929 eV, LUMO level 1.12 eV, largest force on an atom 0.0215 Eh/bohr.

~~~~~
********

【Abstract】 The fruit vinegar takes the fruit or the reject and by-product of the fruit processing as themain raw material. It is a new nutritional acidic seasoning or drinking with unique flavor andhealthy care function through Ethyl alcohol and Acetic fermentation. The history of fruit vinegarin our country is glorious. It was appeared at the same time with the fruit cider long before. Asearly as Xia Dynasty, there was the record of the fruit vinegar. With the improvement ofpeople’s living standard, more and more people pay attention to the healthy care function of fruitvinegar and drink it. A lot of researchers pay more attention to the strain, the craft and the mixedof fruit vinegar.This paper mainly deals with four aspects of fruit vinegar:(1) This research takes the solid and liquid natural fermented fruit vinegar as the acetobactersource, takes the strain AS1.41*as contrast. Three superior acetobacter acetic strains G-6、G-7、Y-20 were selected. Their Acetic acid yield 35.32g/L、35.55g/L、34.97g/L were all higher thanthe Acetic acid yield of AS 1.41*34.74g/L. Their performances were steady after transplanting 5times. Their appropriate fermentation temperature was 32℃, their alcohol degree resistance andsalt resistance are all excellent. Their Ester content are 0.872g/L、0.826g/L、0.847 g/L.The resultof determination experiment is that: G-6 belongs to A.aceti.L, G-7 belongs to A. rancens.L,Y-20 belong to A.liquefaciens.L.(2) The original strain G-7 which was screening from the natural fermented fruit vinegar. ItsAcetic acid yield and Ester content were 35.55g/L and 0.826g/L. It was treated with Ultravioletradiation、HNO2 and compound mutation technique(firstly by Ultraviolet radiation, then byHNO2). An excellent mutant strain namedGUC-7 was obtained. Its Acetic acid yield was42.36g/L and its Ester content was 0.912 g/L.(3) Used the strain GUC-7 in the fermentation of fruit vinegar, studied on the solid and liquidfermenting craft of fruit vinegar, at the same time, optimizing the fermentation conditions of thesolid fermenting craft and obtaining the best condition of the craft. The best condition is: alcoholdegree7%、inoculating amounts 10%、initial pH4.5. with this condition, the Acetic acid content and the Ester content are 63.48g/L and 0.998g/L in the fruit vinegar。(4) In the initial fruit vinegar fluid, the acetic acid content is high, the acetic acid penetratingodor is thick, and the fruit fragrance has loss in the process of fermentation, so it is not suitablefor drinking directly. Therefore, chooses the appropriate raw material to mix the fruit vinegarfluid. Through the orthogonal experiment, the research has determined the best formula to mix it.The best formula is: fruit vinegar 10ml/100ml, apple juice 8ml/100ml, honey4g/100ml,stevioside 0.05 g/100ml。

【关键词】 果醋酿造菌种分离诱变育种饮料
【Key words】 Fruit vinegarBrewageStrain separationMutating and breedingBeverage
  • 【分类号】TS275
  • 【被引频次】20
  • 【下载频次】1981

